We are on a mission to transform society through creating and communicating world class, Jesus-centred, relationships content delivered through any and every stream possible to reach London. 

Relationships Roundup

Join our monthly Relationships Roundup - a monthly dose of relationships content, life hacks, book recommendations, podcast updates and events.

Join the team!

Our vision is to help every Londoner invest in their most important relationships, whether thatā€™s a partner, a colleague, a child, or yourself. You can play your part in this vision by joining our team!

There are many ways you can serve, from hosting and welcome at our courses and events, being a Support Couple, to more administrative office-based roles.

Love Lessons Podcast šŸŽ™ļø

We are so excited to announce our all new Love Lessons Podcast. Each month weā€™ll be releasing a new episode, creating a space for you to invest in your relationships 20 minuets at a time.

Tune in to listen to:

Dr Gary Chapman on how to best express love, how to get better at apology, and how to show appreciation at work.

Lauren Windle on finding community in church through times of turmoil, how to encourage single people to thrive within the church, and how to get the most out of dating apps.

_Unrelated to this entry: materials data_
********
234
Lattice="-3.353 2.342 17.117 1.140 -8.096 -3.158 21.399 1.126 4.586" Properties=species:S:1:pos:R:3 comment="PBE Na10Al4Zn4Si3S9O48, optimized geometry" formation_enthalpy_0k_ev_per_atom=-2.275 magnetic_moment_mub_per_fu=0.00 corrected_energy_ev_per_atom=-6.432 crystal_system=triclinic vol_a3_per_atom=12.519 pbc="T T T"
Na 5.062 -2.266 3.175
Na 3.385 -1.116 11.728
Na 2.837 -2.563 16.090
Na 4.624 -3.674 7.617
Na 15.570 -3.656 6.927
Na 13.904 -2.445 15.450
Na 13.162 0.352 19.317
Na 15.278 1.242 6.594
Na 13.602 2.393 15.146
Na 11.366 -3.813 9.313
Na 12.611 -6.425 5.178
Na 10.893 -5.215 13.741
Na 2.296 -7.459 -0.085
Na 0.612 -6.289 8.469
Na 1.635 -4.681 3.836
Na -0.031 -3.509 12.390
Na 6.879 1.928 13.187
Na 8.357 -4.150 5.831
Na 10.614 0.572 2.542
Na 8.961 1.633 10.947
Na 21.345 0.931 4.616
Na 19.661 2.088 13.173
Na 17.002 -0.851 8.724
Na 15.411 0.315 17.083
Na 6.368 -1.483 6.248
Na 4.680 -0.477 14.780
Na 3.716 -4.715 1.594
Na 2.062 -3.547 10.164
Na 14.351 -4.343 3.685
Na 12.706 -3.021 12.292
Al 11.584 -4.990 16.902
Al 12.224 1.810 11.547
Al -0.129 2.382 17.661
Al 1.535 1.234 9.134
Al 20.299 -0.766 9.060
Al 18.628 0.405 17.612
Al 9.542 -1.326 6.821
Al 7.960 -0.210 15.371
Al 6.941 -4.732 2.283
Al 5.349 -3.534 10.845
Al 17.703 -4.138 4.631
Al 15.991 -2.935 13.060
Zn 5.269 -5.273 15.503
Zn 6.932 -6.417 6.989
Zn 14.868 3.266 20.926
Zn 16.541 2.083 12.371
Zn 13.784 -0.931 7.826
Zn 12.083 0.161 16.327
Zn 3.174 -1.829 5.387
Zn 1.486 -0.673 13.925
Zn 0.528 -4.834 0.813
Zn -1.157 -3.656 9.363
Zn 11.316 -4.505 2.994
Zn 9.538 -3.336 11.602
Si 4.977 -4.655 4.910
Si 3.318 -3.512 13.471
Si 16.037 -6.413 6.357
Si 14.325 -5.220 14.896
Si 11.927 0.739 5.645
Si 10.268 1.932 14.215
Si 1.591 -2.110 2.449
Si -0.094 -0.945 10.995
Si 7.946 -3.616 8.687
S 6.020 -7.408 0.523
S 4.295 -6.252 9.091
S 5.719 -2.097 0.236
S 4.018 -0.892 8.805
S 15.944 -1.216 4.982
S 14.275 -0.059 13.514
S 16.884 -4.913 1.248
S 15.209 -3.716 9.833
S 11.219 -0.877 9.866
S 9.560 0.280 18.388
S 12.079 -3.604 6.437
S 10.385 -2.448 15.032
S 0.833 -3.843 6.581
S -0.848 -2.672 15.139
S 0.673 0.443 6.002
S -1.005 1.606 14.560
S 19.340 -3.545 7.520
S 17.645 -2.376 16.056
S 19.986 -1.998 3.282
S 18.325 -0.829 11.847
S 20.165 -6.368 4.085
S 18.481 -5.189 12.641
S 8.979 -6.609 4.169
S 7.321 -5.481 12.843
S 8.782 -2.193 3.540
S 7.107 -1.052 12.244
S 9.605 -4.794 0.114
O 6.196 0.298 3.167
O 4.518 1.514 11.773
O 6.161 -5.043 5.922
O 4.360 -3.899 14.620
O 5.134 -0.058 9.234
O 3.484 1.069 17.756
O 17.096 -0.304 5.031
O 15.424 0.849 13.549
O 16.524 -4.319 9.624
O 14.861 -3.140 18.162
O 16.029 1.730 10.624
O 14.229 2.695 19.253
O 14.526 -6.064 7.004
O 12.816 -4.864 15.535
O 14.902 -0.745 4.029
O 13.187 0.436 12.623
O 15.796 -5.880 0.913
O 14.092 -4.684 9.516
O 3.617 -5.593 5.114
O 1.929 -4.445 13.623
O 4.394 -1.443 0.555
O 2.693 -0.229 9.070
O 4.985 -7.357 -0.568
O 3.306 -6.259 7.959
O 12.566 -1.266 9.390
O 10.968 -0.010 18.007
O 13.153 0.425 6.665
O 11.458 1.553 15.233
O 13.220 -2.787 6.888
********

Rich Villodas on how to bring your true self into relationships, and how to be fully present with yourself, with God, and with others.

Jane Williams on the security of our relationship with God, the theology of singleness, and how to know love through understanding the love of God.

Listen here!


  • FREE! is a 10-week recovery course that provides a safe place to explore the slavery of life-controlling, addictive issues and allow them to be transformed by the hope and freedom of Jesus Christ.

    Learn more about Free! Recovery

  • This course is for women who have had abortion(s) and are Christians, and who wish to receive healing and restoration in this area of their lives.

    Learn more about the Post-Abortion Healing course

  • This course is for those who are separated, those who are currently going through a divorce, or those are already divorced, whether recently or at any time in the past.

    Learn more about the Restored Lives course

  • An eight-session weekly group course for sufferers of all types of eating disorder, and those who care for them. The course is non-threatening, educational, and encourages a self-help approach that really works.

    Learn more about Tastelife

  • Single & Free is a 4-week course designed for women who are navigating the spiritual, physical, emotional and practical dynamics of being single at present. The course is led by Dr Iman Riad.

    Find out more

  • Tackling Anxiety Together is an interactive in-person course over six sessions which explores topics such as ā€˜understanding anxietyā€™, ā€˜emotions and purposeā€™ and ā€˜battlefield of the mindā€™.

    Learn more here!

  • Working through grief takes time. This course is for any person who is bereaved, whether recently or dating back several years.

    Learn more about The Bereavement Journey

Love Lessons Conference 2025

You are invited to the Love Lessons Conference at HTB.

Take a day to invest in your most important relationships whether youā€™re single, dating, married or parenting. You can design your day with mainstage keynote talks and a series of tailored labs to choose from with our network of relationship experts. Bring your friend, bring your work colleague, bring your partner - weā€™ll bring caffeine, lunch and some thought-provoking content to help you thrive relationally.

Saturday 8th February 2025


HTB Brompton Road, SW7 1JA

Contact us.

If you have any questions about our courses & events, we would love to hear from you.